Material =
/*
[1]
Entry from the Open Molecules 2025 dataset: C30H39N8O5V as an isolated structure (ωB97M-V with the def2-TZVPD basis set).

Output
**E_LUMO (alpha / beta)**: -2.69 / -2.69 eV
**Kohn-Sham gap (alpha / beta)**: 5.42 / 6.15 eV
**Multiplicity**: 4
**Total energy**: -2924.74888 Eh
**Relative energy (zero: lowest compared OMol25 entry of this formula, charge and spin)**: 0.0 kcal/mol
**Expectation value of S²**: 3.762
**Total charge**: +1

Last column: Mulliken charge in e.
Element x y z (Å)
V: 0.219 1.229 -0.362  0.01
O: 3.863 0.615 1.467  -0.80
C: 2.884 0.882 0.759  0.11
N: 1.637 1.196 1.088  0.51
C: 1.160 1.370 2.386  -0.20
C: 1.842 1.084 3.567  -0.27
C: 1.229 1.309 4.796  -0.89
C: -0.054 1.824 4.856  -0.80
C: -0.750 2.122 3.689  -0.47
C: -0.156 1.900 2.448  -0.29
N: -0.699 2.177 1.205  0.94
C: -1.743 2.960 0.964  0.00
O: -2.617 3.399 1.717  -0.80
C: -1.783 3.337 -0.501  0.48
C: -2.738 4.237 -0.952  -0.94
C: -2.741 4.606 -2.286  -0.47
C: -1.779 4.064 -3.132  -0.91
C: -0.862 3.172 -2.607  0.00
N: -0.855 2.804 -1.325  0.22
C: 3.062 0.810 -0.741  0.41
C: 4.341 0.685 -1.264  -0.74
C: 4.505 0.602 -2.637  -0.60
C: 3.376 0.627 -3.444  -1.11
C: 2.134 0.748 -2.842  -0.12
N: 1.968 0.850 -1.524  0.58
H: 2.858 0.722 3.512  0.54
H: 1.772 1.097 5.708  0.40
H: -0.517 2.017 5.816  0.39
H: -1.739 2.557 3.723  0.67
H: -3.445 4.625 -0.234  0.55
H: -3.471 5.309 -2.662  0.45
H: -1.730 4.335 -4.177  0.47
H: -0.088 2.737 -3.230  0.35
H: 5.170 0.669 -0.573  0.58
H: 5.493 0.525 -3.071  0.45
H: 3.449 0.562 -4.521  0.49
H: 1.224 0.758 -3.431  0.44
C: -3.549 -0.799 -4.159  -1.07
N: -2.209 -0.679 -3.615  0.09
C: -1.133 -1.003 -4.536  -1.01
C: -1.921 -0.273 -2.369  0.65
O: -0.761 -0.187 -1.960  0.10
C: -3.093 0.058 -1.438  -1.21
O: -2.589 0.595 -0.258  -0.03
C: -2.943 0.049 0.985  -1.77
C: -1.737 -0.647 1.618  0.66
O: -0.718 -0.861 0.956  -0.46
N: -1.849 -0.983 2.910  0.24
C: -0.685 -1.449 3.642  -0.96
C: -3.009 -0.681 3.730  -0.98
H: -3.792 -1.847 -4.350  0.33
H: -3.606 -0.254 -5.103  0.37
H: -4.294 -0.386 -3.488  0.41
H: -1.377 -1.924 -5.067  0.39
H: -0.212 -1.138 -3.978  0.16
H: -0.999 -0.205 -5.270  0.32
H: -3.687 -0.848 -1.269  0.56
H: -3.742 0.801 -1.915  0.41
H: -3.769 -0.664 0.890  0.61
H: -3.267 0.873 1.628  0.63
H: 0.192 -1.344 3.012  0.09
H: -0.814 -2.489 3.951  0.35
H: -0.543 -0.823 4.524  0.42
H: -3.920 -0.636 3.139  0.37
H: -2.874 0.268 4.255  0.28
H: -3.131 -1.475 4.466  0.39
N: 3.054 -4.407 0.597  -0.09
C: 2.210 -4.198 -0.630  -0.93
C: 2.219 -2.700 -0.962  -0.30
N: 1.846 -1.881 0.151  0.47
C: 2.589 -2.132 1.356  -0.30
C: 2.554 -3.603 1.770  -0.87
H: 4.008 -4.099 0.390  0.40
H: 3.104 -5.397 0.833  0.36
H: 1.209 -4.544 -0.373  0.35
H: 2.623 -4.820 -1.425  0.45
H: 1.545 -2.516 -1.799  0.01
H: 3.229 -2.422 -1.297  0.43
H: 0.852 -1.745 0.300  0.11
H: 2.204 -1.510 2.163  -0.14
H: 3.633 -1.819 1.220  0.33
H: 1.539 -3.948 1.968  0.38
H: 3.197 -3.827 2.620  0.38

[2]
Entry from the Open Molecules 2025 dataset: C30H40BCl5N12O3SW as an isolated structure in a non-equilibrium geometry (ωB97M-V with the def2-TZVPD basis set).

Output
**E_LUMO (alpha / beta)**: -9.50 / -9.13 eV
**Kohn-Sham gap (alpha / beta)**: 6.27 / 6.64 eV
**Multiplicity**: 2
**Total energy**: -4840.30823 Eh
**Relative energy (zero: lowest compared OMol25 entry of this formula, charge and spin)**: 0.0 kcal/mol
**Expectation value of S²**: 0.756
**Total charge**: +3

Last column: Mulliken charge in e.
Element x y z (Å)
W: 0.527 -0.869 -0.622  1.82
C: 3.274 -4.104 0.111  -1.68
C: 2.221 -3.525 -0.558  -0.30
N: 2.029 -2.261 -0.123  0.66
N: 2.969 -2.032 0.836  0.16
C: 3.710 -3.129 0.996  -0.04
B: 2.855 -0.792 1.740  0.51
N: 1.462 -0.874 2.404  0.21
C: 1.100 -0.909 3.689  -0.05
C: -0.281 -0.882 3.758  -1.70
C: -0.697 -0.828 2.444  -0.09
N: 0.354 -0.836 1.604  0.08
N: 2.780 0.500 0.853  0.79
C: 3.481 1.610 1.061  0.04
C: 2.942 2.636 0.285  -1.71
C: 1.887 2.055 -0.369  -0.34
N: 1.778 0.749 -0.033  -0.31
N: 4.020 -0.682 2.659  0.28
C: 5.347 -0.754 2.325  -0.29
C: 6.071 -0.278 3.379  -0.89
*/

Job =
It remains to return every line earlier on that contains the word "non-equilibrium".

Worked solution =
Entry from the Open Molecules 2025 dataset: C30H40BCl5N12O3SW as an isolated structure in a non-equilibrium geometry (ωB97M-V with the def2-TZVPD basis set).